# Data
~~~
1.
For Li6V3CrP6O24, a structure optimized by DFT (GGA+U) gives the computed powder XRD pattern in this record (Cu Kα (weighted mean of Kα1 and Kα2)).
Intensities are scaled so that the largest is 100.

Structure:
```
Li6V3CrP6O24
1.0
8.6166 0.0000 0.0000
4.1537 7.5804 0.0000
4.1573 2.4518 7.1821
Li V Cr P O
6 3 1 6 24
Direct
0.0000 0.0000 0.0000
0.0954 0.5043 0.9074
0.2751 0.8576 0.6502
0.5086 0.6982 0.3001
0.7236 0.3535 0.1445
0.9033 0.1066 0.4961
0.1044 0.7056 0.5053
0.3943 0.9954 0.7882
0.6073 0.2128 0.0060
0.8954 0.4953 0.2972
0.0007 0.3044 0.6949
0.2056 0.1016 0.1886
0.2954 0.6024 0.1013
0.5017 0.3928 0.6072
0.7027 0.8972 0.4005
0.7943 0.8113 0.9039
0.0172 0.2676 0.2129
0.0561 0.4627 0.6660
0.1351 0.5448 0.1337
0.1560 0.1109 0.7189
0.1781 0.9432 0.3810
0.2215 0.0559 0.0289
0.2637 0.6567 0.2623
0.2955 0.7736 0.9195
0.3416 0.5866 0.5780
0.3770 0.1396 0.1524
0.4519 0.2316 0.6377
0.4863 0.4444 0.0787
0.5117 0.9224 0.5568
0.5478 0.3641 0.7692
0.6244 0.8489 0.8636
0.6650 0.4147 0.4153
0.7084 0.0775 0.2293
0.7315 0.7349 0.3486
0.7776 0.9711 0.9504
0.8143 0.6203 0.0670
0.8435 0.2814 0.8886
0.8615 0.8600 0.4638
0.9447 0.3340 0.5359
0.9848 0.7820 0.7428
```

Top 8 peaks for 2θ = 10–90°, sorted by position:
hkl  2theta  I (rel.)
0 1 1  14.4  17
0 1 -1  20.2  20
1 1 2  20.6  46
1 0 2  23.9  100
0 2 2  29.0  28
1 -2 0  31.3  12
1 3 2  32.7  21
1 1 -2  35.3  14



2.
For LiCrS2O8, a structure optimized by DFT (GGA+U) gives the computed powder XRD pattern in this record (Cu Kα (weighted mean of Kα1 and Kα2)).
Intensities are scaled so that the largest is 100.

Structure:
```
LiCrS2O8
1.0
8.3211 0.0000 0.0000
-4.1488 7.2236 0.0000
-4.1326 -2.4070 7.5117
Li Cr S O
3 3 6 24
Direct
0.0000 0.0000 0.0000
0.1329 0.7449 0.0863
0.3647 0.3792 0.0865
0.0389 0.5141 0.5290
0.6194 0.8082 0.4016
0.6216 0.3032 0.9057
0.1118 0.4089 0.2099
0.1185 0.2032 0.7102
0.5310 0.9025 0.7105
0.5429 0.1240 0.2083
0.8201 0.6904 0.2109
0.8262 0.6147 0.7097
0.0000 0.7962 0.8580
0.0412 0.2104 0.1598
0.0859 0.1959 0.8592
0.1438 0.4696 0.3817
0.1867 0.3983 0.6848
0.2939 0.1731 0.7465
0.3099 0.7767 0.6860
0.3302 0.5433 0.2245
0.3690 0.1542 0.1633
0.4636 0.9209 0.2243
0.5026 0.8566 0.5327
0.5906 0.1330 0.0650
0.5987 0.1089 0.7503
0.6337 0.4940 0.0669
0.6599 0.4756 0.7483
0.6860 0.8715 0.8467
0.7058 0.6468 0.5407
0.7083 0.7765 0.2289
0.7434 0.2610 0.3811
0.9174 0.0519 0.5416
0.9277 0.5208 0.6831
0.9339 0.6598 0.3811
0.9598 0.4540 0.0680
0.9737 0.8115 0.1597
```

Top 8 peaks for 2θ = 10–90°, sorted by position:
hkl  2theta  I (rel.)
0 1 0  12.9  18
-1 1 1  14.6  61
1 0 -2  20.0  37
1 -2 1  24.4  100
-2 1 2  24.5  29
2 0 0  29.4  23
1 1 1  32.1  35
-3 1 2  33.1  18


This entry pairs a crystal structure of K3RbAs2Pt2 with its calculated powder XRD pattern. Radiation: Cu Kα (λ = 1.5418 Å). Structure: a structure optimized by DFT (PBE).
Kinematic intensities with the Lorentz-polarization factor, no thermal factor.

Cell and atoms:
a = 6.3578 Å, b = 5.9034 Å, c = 6.4189 Å
α = 90.00°, β = 105.24°, γ = 90.00°
Sites, in units of the cell vectors:
K 0.0000 0.0000 0.0000
K 0.2989 0.5000 0.3031
K 0.6546 0.0000 0.3396
Rb 0.9496 0.5000 0.6440
As 0.2340 0.0000 0.5661
As 0.7257 0.5000 0.0738
Pt 0.4680 0.2466 0.8363
Pt 0.4680 0.7534 0.8363

Peak list (10 most intense, 2θ from 15° to 90°, sorted by position)
| 2theta | I/Imax | index |
| --- | --- | --- |
| 17.5 | 100.0 | 1 0 -1 |
| 28.7 | 41.6 | 1 0 -2 |
| 28.9 | 54.5 | 2 0 -1 |
| 32.5 | 26.9 | 1 1 -2 |
| 32.7 | 29.1 | 2 1 -1 |
| 33.7 | 88.9 | 1 2 0 |
| 38.3 | 57.5 | 1 2 1 |
| 42.3 | 49.3 | 0 2 2 |
| 42.5 | 25.8 | 2 2 0 |
| 54.2 | 33.0 | 3 0 -3 |


[1]
For LiNiBO3, a cell relaxed with PBE+U gives the theoretical PXRD pattern in this record (Cu Kα X-rays).
Lines closer than 0.1° are merged.

Cell and atoms:
```
LiNiBO3
1.0
2.645 -4.376 0.000
2.645 4.376 0.000
-0.274 0.000 10.000
Li Ni B O
4 4 4 12
Cartesian
2.508 4.340 5.000
1.596 0.063 2.509
1.459 -0.063 7.509
2.645 -4.340 0.000
2.392 1.516 9.659
4.080 1.489 7.148
2.529 -1.516 4.659
~~~

# What to do
The reader should work out how many lines further up have the word "Direct" in them; a number is enough.

# Completed
2